== What to do ==
Could you print everything further below without altering anything?
== Listing ==
/*
[1]
Molecular formula: H28O14
Method: DFT, ωB97M-V with the def2-TZVPD basis set

Geometry as XYZ:
```
42
Properties=species:S:1:pos:R:3:forces:R:3
O -3.5012 -3.6938 0.8314 2.9 1.2 1.7
H -2.5321 -3.4528 0.6660 -1.6 -0.7 -0.6
H -3.4140 -3.3651 1.7670 -1.2 -0.6 -0.9
O -1.0680 0.2308 1.8498 -0.7 2.2 -3.6
H -1.9817 0.5205 2.0364 0.6 -0.5 0.8
H -0.6795 -0.3715 2.3947 0.8 -2.4 2.6
O 4.2252 2.3366 -1.8799 -3.8 -1.2 4.4
H 4.1741 1.9539 -0.8921 1.4 0.8 -3.0
H 3.1921 2.4208 -1.8022 2.4 0.1 -1.6
O 0.5759 1.6859 -2.7140 0.8 -1.3 0.2
H 0.1242 2.4049 -3.1826 0.1 -1.0 -0.4
H 0.7179 0.8019 -3.1821 -0.8 2.5 0.4
O -2.8067 -2.5595 -1.6209 1.8 -1.9 -1.8
H -2.2993 -3.2657 -2.1882 -1.6 2.0 1.7
H -3.3564 -3.0653 -1.0098 -0.2 0.0 -0.1
O 1.3302 -3.7187 -2.2183 -0.8 0.2 -0.1
H 1.0713 -4.5970 -1.8891 1.1 0.7 -0.2
H 2.2742 -3.4398 -2.2652 -0.6 -1.2 0.0
O 3.5206 -2.3535 -2.8703 -0.2 -1.4 -1.8
H 3.0689 -1.6324 -2.5102 -1.1 2.0 0.8
H 4.1938 -2.5408 -2.2581 1.6 -0.3 1.2
O 2.2639 3.7585 0.1453 4.2 2.9 7.1
H 1.8405 3.4744 -0.5369 -3.8 -3.1 -6.8
H 3.1780 3.4411 0.1649 -0.6 0.3 -0.3
O 0.5899 -1.1163 -0.8896 0.3 2.8 4.6
H -0.3458 -1.1021 -0.7488 -1.1 0.4 0.5
H 0.6447 -1.5582 -1.6468 0.7 -3.4 -5.0
O 0.1737 -2.8054 2.2604 -2.0 -2.9 4.6
H 0.2255 -2.2742 1.5639 0.8 3.3 -5.1
H 0.9746 -3.2634 2.4264 1.2 -0.6 -0.2
O 0.9997 -1.3001 4.3244 0.5 -4.1 0.5
H 0.6685 -1.6292 3.4832 -0.2 0.0 0.0
H 0.9634 -0.4070 4.3497 -0.2 4.3 0.0
O -2.6687 3.7779 0.8007 -1.0 2.2 1.1
H -3.4855 4.0220 0.3553 -0.4 -0.5 0.1
H -2.2031 4.6531 0.7193 -0.3 -1.6 0.1
O -2.7350 1.8789 2.5640 -0.6 -0.3 0.0
H -3.0432 2.1956 3.3967 -0.5 0.2 0.9
H -2.0371 2.4851 2.3267 0.1 0.3 -0.4
O -1.0181 3.8990 -0.6942 4.9 1.2 -0.2
H -0.8679 3.0807 -0.1968 -0.6 -0.1 -0.3
H -0.1187 4.3472 -0.4509 -2.3 -0.8 -1.0
```
Forces are in eV/Å.

**LUMO level**: 0.001 Eh
**Highest occupied orbital energy**: -10.20 eV
**Energy above the lowest of the compared OMol25 structures with the same formula, charge and spin**: 133.4 kcal/mol
**Charge**: 0
**HOMO-LUMO gap**: 10.21 eV


[2]
Molecular formula: H28O14
Method: DFT, ωB97M-V with the def2-TZVPD basis set

Geometry as XYZ:
```
42
Properties=species:S:1:pos:R:3:forces:R:3
O 34.7220 43.9890 0.2220 -3.0 -2.8 6.1
H 34.0090 44.4700 0.8060 2.4 -1.4 -1.9
H 34.8390 44.5130 -0.5180 0.0 1.8 -2.1
O 38.1980 48.2980 2.6350 0.2 1.2 -0.1
H 38.5710 49.1680 2.4250 -0.2 -0.1 0.5
H 38.3040 47.8310 1.7860 -0.1 -0.2 0.6
O 38.2910 46.6390 0.7920 3.5 -2.4 -0.6
H 39.1750 46.0330 0.9160 -3.4 2.2 -0.3
H 38.2300 46.8280 -0.1520 0.3 0.0 -0.5
O 31.8540 49.1040 -0.2960 -3.1 3.7 -1.3
H 32.3310 48.3990 0.0360 0.8 -2.3 1.2
H 31.4830 49.6850 0.4220 1.1 -1.0 -1.2
O 33.0750 47.0340 -2.5980 -1.0 -1.1 -0.1
H 33.3860 47.3590 -3.4490 -0.1 0.1 0.0
H 32.3610 46.3710 -2.7890 1.0 1.0 0.0
O 35.5550 47.5820 0.4120 2.2 0.2 1.4
H 34.9080 47.3290 -0.2630 1.1 -0.3 0.4
H 36.4950 47.1630 0.3300 -3.3 0.5 0.0
O 34.4780 47.3800 3.1420 -0.6 -0.3 0.4
H 34.9000 48.0380 3.6900 0.0 0.3 0.5
H 34.9110 47.5240 2.3090 0.5 -0.1 -1.1
O 37.6690 44.4300 1.9010 5.0 -3.2 3.6
H 37.5710 44.8080 1.1190 0.1 2.5 -5.8
H 36.8220 44.5090 2.1360 -5.4 -0.1 2.5
O 33.4500 50.0970 1.3810 3.2 4.4 -2.1
H 34.0840 50.2460 0.5350 -2.1 -0.4 2.9
H 33.3080 49.2050 1.3510 -0.4 -3.5 0.3
O 35.1220 45.7170 -1.1570 0.5 1.1 -2.3
H 36.0070 45.6270 -1.6260 -2.1 1.2 0.1
H 34.3560 46.2940 -1.4590 1.6 -0.9 -1.1
O 37.4080 46.8470 -1.8730 -2.7 3.3 -0.1
H 38.0610 46.7010 -2.5270 1.1 0.0 -1.3
H 36.8410 47.7160 -2.1790 2.1 -3.1 1.1
O 35.9550 49.9540 -0.2720 -1.7 1.8 -2.8
H 36.5600 50.6580 -0.2810 1.4 0.9 0.8
H 36.0190 49.2520 0.3210 0.7 -2.0 2.0
O 32.6580 46.8030 0.1190 -0.6 -3.9 2.9
H 32.1450 46.0030 -0.2850 1.3 2.2 1.2
H 32.7140 46.5700 1.1600 -0.1 0.7 -3.4
O 34.0540 49.6860 -2.1350 -4.6 -3.3 -2.4
H 34.6660 50.1490 -1.6690 2.3 1.7 2.7
H 33.2560 49.3240 -1.6010 2.0 1.5 -0.7
```
Forces are in eV/Å.

**LUMO level**: -0.020 Eh
**Highest occupied orbital energy**: -10.12 eV
**Energy above the lowest of the compared OMol25 structures with the same formula, charge and spin**: 137.8 kcal/mol
*/
== Here it is ==
[1]
Molecular formula: H28O14
Method: DFT, ωB97M-V with the def2-TZVPD basis set

Geometry as XYZ:
```
42
Properties=species:S:1:pos:R:3:forces:R:3
O -3.5012 -3.6938 0.8314 2.9 1.2 1.7
H -2.5321 -3.4528 0.6660 -1.6 -0.7 -0.6
H -3.4140 -3.3651 1.7670 -1.2 -0.6 -0.9
O -1.0680 0.2308 1.8498 -0.7 2.2 -3.6
H -1.9817 0.5205 2.0364 0.6 -0.5 0.8
H -0.6795 -0.3715 2.3947 0.8 -2.4 2.6
O 4.2252 2.3366 -1.8799 -3.8 -1.2 4.4
H 4.1741 1.9539 -0.8921 1.4 0.8 -3.0
H 3.1921 2.4208 -1.8022 2.4 0.1 -1.6
O 0.5759 1.6859 -2.7140 0.8 -1.3 0.2
H 0.1242 2.4049 -3.1826 0.1 -1.0 -0.4
H 0.7179 0.8019 -3.1821 -0.8 2.5 0.4
O -2.8067 -2.5595 -1.6209 1.8 -1.9 -1.8
H -2.2993 -3.2657 -2.1882 -1.6 2.0 1.7
H -3.3564 -3.0653 -1.0098 -0.2 0.0 -0.1
O 1.3302 -3.7187 -2.2183 -0.8 0.2 -0.1
H 1.0713 -4.5970 -1.8891 1.1 0.7 -0.2
H 2.2742 -3.4398 -2.2652 -0.6 -1.2 0.0
O 3.5206 -2.3535 -2.8703 -0.2 -1.4 -1.8
H 3.0689 -1.6324 -2.5102 -1.1 2.0 0.8
H 4.1938 -2.5408 -2.2581 1.6 -0.3 1.2
O 2.2639 3.7585 0.1453 4.2 2.9 7.1
H 1.8405 3.4744 -0.5369 -3.8 -3.1 -6.8
H 3.1780 3.4411 0.1649 -0.6 0.3 -0.3
O 0.5899 -1.1163 -0.8896 0.3 2.8 4.6
H -0.3458 -1.1021 -0.7488 -1.1 0.4 0.5
H 0.6447 -1.5582 -1.6468 0.7 -3.4 -5.0
O 0.1737 -2.8054 2.2604 -2.0 -2.9 4.6
H 0.2255 -2.2742 1.5639 0.8 3.3 -5.1
H 0.9746 -3.2634 2.4264 1.2 -0.6 -0.2
O 0.9997 -1.3001 4.3244 0.5 -4.1 0.5
H 0.6685 -1.6292 3.4832 -0.2 0.0 0.0
H 0.9634 -0.4070 4.3497 -0.2 4.3 0.0
O -2.6687 3.7779 0.8007 -1.0 2.2 1.1
H -3.4855 4.0220 0.3553 -0.4 -0.5 0.1
H -2.2031 4.6531 0.7193 -0.3 -1.6 0.1
O -2.7350 1.8789 2.5640 -0.6 -0.3 0.0
H -3.0432 2.1956 3.3967 -0.5 0.2 0.9
H -2.0371 2.4851 2.3267 0.1 0.3 -0.4
O -1.0181 3.8990 -0.6942 4.9 1.2 -0.2
H -0.8679 3.0807 -0.1968 -0.6 -0.1 -0.3
H -0.1187 4.3472 -0.4509 -2.3 -0.8 -1.0
```
Forces are in eV/Å.

**LUMO level**: 0.001 Eh
**Highest occupied orbital energy**: -10.20 eV
**Energy above the lowest of the compared OMol25 structures with the same formula, charge and spin**: 133.4 kcal/mol
**Charge**: 0
**HOMO-LUMO gap**: 10.21 eV


[2]
Molecular formula: H28O14
Method: DFT, ωB97M-V with the def2-TZVPD basis set

Geometry as XYZ:
```
42
Properties=species:S:1:pos:R:3:forces:R:3
O 34.7220 43.9890 0.2220 -3.0 -2.8 6.1
H 34.0090 44.4700 0.8060 2.4 -1.4 -1.9
H 34.8390 44.5130 -0.5180 0.0 1.8 -2.1
O 38.1980 48.2980 2.6350 0.2 1.2 -0.1
H 38.5710 49.1680 2.4250 -0.2 -0.1 0.5
H 38.3040 47.8310 1.7860 -0.1 -0.2 0.6
O 38.2910 46.6390 0.7920 3.5 -2.4 -0.6
H 39.1750 46.0330 0.9160 -3.4 2.2 -0.3
H 38.2300 46.8280 -0.1520 0.3 0.0 -0.5
O 31.8540 49.1040 -0.2960 -3.1 3.7 -1.3
H 32.3310 48.3990 0.0360 0.8 -2.3 1.2
H 31.4830 49.6850 0.4220 1.1 -1.0 -1.2
O 33.0750 47.0340 -2.5980 -1.0 -1.1 -0.1
H 33.3860 47.3590 -3.4490 -0.1 0.1 0.0
H 32.3610 46.3710 -2.7890 1.0 1.0 0.0
O 35.5550 47.5820 0.4120 2.2 0.2 1.4
H 34.9080 47.3290 -0.2630 1.1 -0.3 0.4
H 36.4950 47.1630 0.3300 -3.3 0.5 0.0
O 34.4780 47.3800 3.1420 -0.6 -0.3 0.4
H 34.9000 48.0380 3.6900 0.0 0.3 0.5
H 34.9110 47.5240 2.3090 0.5 -0.1 -1.1
O 37.6690 44.4300 1.9010 5.0 -3.2 3.6
H 37.5710 44.8080 1.1190 0.1 2.5 -5.8
H 36.8220 44.5090 2.1360 -5.4 -0.1 2.5
O 33.4500 50.0970 1.3810 3.2 4.4 -2.1
H 34.0840 50.2460 0.5350 -2.1 -0.4 2.9
H 33.3080 49.2050 1.3510 -0.4 -3.5 0.3
O 35.1220 45.7170 -1.1570 0.5 1.1 -2.3
H 36.0070 45.6270 -1.6260 -2.1 1.2 0.1
H 34.3560 46.2940 -1.4590 1.6 -0.9 -1.1
O 37.4080 46.8470 -1.8730 -2.7 3.3 -0.1
H 38.0610 46.7010 -2.5270 1.1 0.0 -1.3
H 36.8410 47.7160 -2.1790 2.1 -3.1 1.1
O 35.9550 49.9540 -0.2720 -1.7 1.8 -2.8
H 36.5600 50.6580 -0.2810 1.4 0.9 0.8
H 36.0190 49.2520 0.3210 0.7 -2.0 2.0
O 32.6580 46.8030 0.1190 -0.6 -3.9 2.9
H 32.1450 46.0030 -0.2850 1.3 2.2 1.2
H 32.7140 46.5700 1.1600 -0.1 0.7 -3.4
O 34.0540 49.6860 -2.1350 -4.6 -3.3 -2.4
H 34.6660 50.1490 -1.6690 2.3 1.7 2.7
H 33.2560 49.3240 -1.6010 2.0 1.5 -0.7
```
Forces are in eV/Å.

**LUMO level**: -0.020 Eh
**Highest occupied orbital energy**: -10.12 eV
**Energy above the lowest of the compared OMol25 structures with the same formula, charge and spin**: 137.8 kcal/mol